Given.
<<<
Record 1
C3H9N4 | wB97M-V/def2-TZVPD

Values from the calculation:
ΔE to the lowest compared entry with this formula, charge and spin: 114.3 kcal/mol
2S+1: 1
Maximum force: 4.82 eV Å⁻¹
SMILES: [H]/N=[N+](/N)C/N=C\C
Total charge: +1
HOMO-LUMO gap (alpha / beta): 8.82 / 8.82 eV

Geometry (Å):
1 H 0.6489 -1.8575 1.0185
2 N 0.9933 -0.8941 1.4117
3 N 1.2253 0.0948 0.6725
4 N 1.6318 1.2924 1.1774
5 C 1.1445 0.0714 -0.8162
6 N -0.0362 0.6988 -1.2653
7 C -1.1748 0.1552 -1.1772
8 C -1.5147 -1.2409 -0.6275
9 H 2.0408 1.9136 0.4619
10 H 1.8597 1.3197 2.2290
11 H 1.3707 -0.9584 -1.1747
12 H 2.0035 0.7494 -1.2127
13 H -1.9555 0.7248 -1.5123
14 H -2.0405 -1.1259 0.4367
15 H -2.1618 -1.7708 -1.2040
16 H -0.5306 -1.7532 -0.5573

Force components x, y, z for each atom (eV/Å):
H 0.9 2.8 -0.2
N 0.0 0.6 -0.1
N 0.5 -1.7 1.1
N -0.1 -1.2 1.1
C 2.1 0.7 -1.7
N -0.7 0.6 -0.1
C 1.0 -2.6 1.2
C 2.2 2.6 3.4
H -0.3 -0.5 0.9
H -0.5 -0.1 -2.4
H -0.4 0.5 0.5
H -1.1 -1.4 0.9
H -2.1 1.4 -1.0
H 1.3 -0.2 -2.1
H -1.9 -1.4 -1.9
H -1.0 -0.2 0.2

These are the Löwdin partial charges, in e, on atoms 1 to 8:
1. H 0.156
2. N 0.226
3. N -0.226
4. N 0.180
5. C -0.179
6. N 0.043
7. C -0.130
8. C -0.026


Record 2
C26H31N3O6P | wB97M-V/def2-TZVPD

Values from the calculation:
2S+1: 1
Maximum force: 3.88 eV Å⁻¹
Total charge: -1
HOMO-LUMO gap: 2.11 eV

Geometry (Å):
1 C 0.8629 -3.1322 1.0203
2 C -0.7262 -3.2364 0.9338
3 C -1.2821 -3.2891 -0.5625
4 C -1.9088 -1.8781 -1.0340
5 C -0.6586 -0.8760 -1.0416
6 C -0.4977 -0.0715 0.2001
7 C 0.6623 0.8578 0.3189
8 C 0.9174 1.7071 1.6096
9 N 0.3607 1.1316 2.8513
10 C -0.7265 1.9500 3.4342
11 C 1.5999 0.9002 -0.8694
12 C 2.9023 1.7918 -0.9030
13 C 4.1390 0.7692 -0.7173
14 C 4.4644 0.5971 0.8037
15 O 4.0138 -0.3062 1.4871
16 N 5.3304 1.5899 1.4655
17 C 4.5532 2.3822 2.4361
18 C 4.2507 3.7894 2.0312
19 C 3.4741 4.6132 2.9788
20 C 3.0448 4.0689 4.2966
21 C 3.3555 2.6727 4.7182
22 C 4.1059 1.8295 3.7412
23 C 1.3358 0.0944 -2.0731
24 N 0.2279 -0.7655 -2.1359
25 P 0.0531 -1.7021 -3.6444
26 O 1.2520 -1.5192 -4.5526
27 H 1.2770 -3.9934 1.6312
28 H 1.1831 -2.2018 1.5862
29 H 1.3816 -3.0933 0.0240
30 H -1.0130 -4.1917 1.4705
31 H -1.1393 -2.3664 1.5201
32 H -0.3593 -3.4204 -1.2116
33 H -2.0452 -4.0931 -0.7210
34 H -2.6297 -1.5159 -0.2418
35 H -2.4175 -1.9682 -2.0532
36 H -1.2102 -0.1323 1.0586
37 H 2.0414 1.7638 1.7533
38 H 0.5152 2.7480 1.4804
39 H 0.0907 0.1537 2.7498
40 H -0.8219 1.7022 4.5366
41 H -0.5147 3.0537 3.3751
42 H -1.7363 1.7531 2.9567
43 H 2.8645 2.5277 -0.0515
44 H 3.0433 2.2662 -1.9086
45 H 3.7934 -0.2454 -1.0789
46 H 5.0282 1.0356 -1.3491
47 H 6.0147 1.0287 1.9917
48 H 4.6170 4.1428 1.0306
49 H 3.2233 5.6589 2.6508
50 H 2.4735 4.7354 4.9935
51 H 3.0099 2.2804 5.7081
52 H 4.3382 0.7749 4.0429
53 H 2.0555 0.1778 -2.9327
54 H -0.0899 -3.0922 -3.3108
55 H -1.0894 -1.2432 -4.3708
56 C -7.0641 -2.0663 -2.4073
57 C -5.6989 -2.0900 -2.3085
58 C -4.9787 -1.4552 -3.5030
59 O -3.7413 -1.3242 -3.5441
60 C -5.7634 -0.9973 -4.6244
61 C -7.1411 -0.9813 -4.7397
62 C -7.8728 -1.5206 -3.4977
63 O -9.0964 -1.5214 -3.3745
64 O -7.8226 -0.5859 -5.7080
65 O -4.9905 -2.5596 -1.3654
66 H -7.6578 -2.4856 -1.6010
67 H -5.1624 -0.6270 -5.4495

Force components x, y, z for each atom (eV/Å):
C 0.1 0.2 0.8
C 0.4 -0.5 -0.1
C 0.5 1.2 0.2
C 1.8 -0.1 0.1
C -1.3 0.6 1.7
C 3.0 1.1 -2.1
C -0.8 -1.7 -2.2
C 0.7 -0.8 -0.3
N -0.4 1.0 -0.5
C -0.8 -0.3 0.7
C -1.6 -0.8 -0.8
C -0.1 -1.5 0.3
C -0.3 -0.5 0.3
C -0.3 -0.7 0.5
O 0.3 0.8 -1.4
N -0.5 0.0 0.3
C -1.1 1.8 1.2
C -0.9 -1.7 2.8
C 0.6 -2.1 0.2
C 1.0 -1.3 -1.2
C 0.9 1.5 -3.4
C -0.5 2.2 0.0
C 0.0 1.5 3.0
N 0.0 0.8 2.0
P 1.3 -0.4 -3.2
O -1.2 0.1 1.9
H -0.4 0.9 -0.9
H -0.4 -1.0 -0.7
H -0.6 -0.2 0.9
H 0.1 1.2 -0.6
H 0.1 -1.0 -0.7
H -1.2 -0.5 0.6
H 0.7 0.8 0.1
H 0.6 -0.3 -1.3
H 0.0 0.4 1.1
H 0.5 -0.2 -1.3
H -1.2 0.1 -0.3
H 0.4 -0.9 -0.1
H 0.1 0.4 0.0
H 0.1 0.3 -1.2
H 0.0 -1.2 -0.1
H 1.0 0.4 0.4
H 0.1 -0.5 -1.2
H -0.4 -0.2 1.1
H 0.4 1.1 0.5
H -0.7 0.1 1.0
H -0.4 0.3 -0.2
H -0.5 -0.3 1.3
H 0.2 -1.2 0.7
H 0.6 -0.7 -0.8
>>>
Exercise.
It remains to echo the whole of the listing above without additions.
Done.
Record 1
C3H9N4 | wB97M-V/def2-TZVPD

Values from the calculation:
ΔE to the lowest compared entry with this formula, charge and spin: 114.3 kcal/mol
2S+1: 1
Maximum force: 4.82 eV Å⁻¹
SMILES: [H]/N=[N+](/N)C/N=C\C
Total charge: +1
HOMO-LUMO gap (alpha / beta): 8.82 / 8.82 eV

Geometry (Å):
1 H 0.6489 -1.8575 1.0185
2 N 0.9933 -0.8941 1.4117
3 N 1.2253 0.0948 0.6725
4 N 1.6318 1.2924 1.1774
5 C 1.1445 0.0714 -0.8162
6 N -0.0362 0.6988 -1.2653
7 C -1.1748 0.1552 -1.1772
8 C -1.5147 -1.2409 -0.6275
9 H 2.0408 1.9136 0.4619
10 H 1.8597 1.3197 2.2290
11 H 1.3707 -0.9584 -1.1747
12 H 2.0035 0.7494 -1.2127
13 H -1.9555 0.7248 -1.5123
14 H -2.0405 -1.1259 0.4367
15 H -2.1618 -1.7708 -1.2040
16 H -0.5306 -1.7532 -0.5573

Force components x, y, z for each atom (eV/Å):
H 0.9 2.8 -0.2
N 0.0 0.6 -0.1
N 0.5 -1.7 1.1
N -0.1 -1.2 1.1
C 2.1 0.7 -1.7
N -0.7 0.6 -0.1
C 1.0 -2.6 1.2
C 2.2 2.6 3.4
H -0.3 -0.5 0.9
H -0.5 -0.1 -2.4
H -0.4 0.5 0.5
H -1.1 -1.4 0.9
H -2.1 1.4 -1.0
H 1.3 -0.2 -2.1
H -1.9 -1.4 -1.9
H -1.0 -0.2 0.2

These are the Löwdin partial charges, in e, on atoms 1 to 8:
1. H 0.156
2. N 0.226
3. N -0.226
4. N 0.180
5. C -0.179
6. N 0.043
7. C -0.130
8. C -0.026


Record 2
C26H31N3O6P | wB97M-V/def2-TZVPD

Values from the calculation:
2S+1: 1
Maximum force: 3.88 eV Å⁻¹
Total charge: -1
HOMO-LUMO gap: 2.11 eV

Geometry (Å):
1 C 0.8629 -3.1322 1.0203
2 C -0.7262 -3.2364 0.9338
3 C -1.2821 -3.2891 -0.5625
4 C -1.9088 -1.8781 -1.0340
5 C -0.6586 -0.8760 -1.0416
6 C -0.4977 -0.0715 0.2001
7 C 0.6623 0.8578 0.3189
8 C 0.9174 1.7071 1.6096
9 N 0.3607 1.1316 2.8513
10 C -0.7265 1.9500 3.4342
11 C 1.5999 0.9002 -0.8694
12 C 2.9023 1.7918 -0.9030
13 C 4.1390 0.7692 -0.7173
14 C 4.4644 0.5971 0.8037
15 O 4.0138 -0.3062 1.4871
16 N 5.3304 1.5899 1.4655
17 C 4.5532 2.3822 2.4361
18 C 4.2507 3.7894 2.0312
19 C 3.4741 4.6132 2.9788
20 C 3.0448 4.0689 4.2966
21 C 3.3555 2.6727 4.7182
22 C 4.1059 1.8295 3.7412
23 C 1.3358 0.0944 -2.0731
24 N 0.2279 -0.7655 -2.1359
25 P 0.0531 -1.7021 -3.6444
26 O 1.2520 -1.5192 -4.5526
27 H 1.2770 -3.9934 1.6312
28 H 1.1831 -2.2018 1.5862
29 H 1.3816 -3.0933 0.0240
30 H -1.0130 -4.1917 1.4705
31 H -1.1393 -2.3664 1.5201
32 H -0.3593 -3.4204 -1.2116
33 H -2.0452 -4.0931 -0.7210
34 H -2.6297 -1.5159 -0.2418
35 H -2.4175 -1.9682 -2.0532
36 H -1.2102 -0.1323 1.0586
37 H 2.0414 1.7638 1.7533
38 H 0.5152 2.7480 1.4804
39 H 0.0907 0.1537 2.7498
40 H -0.8219 1.7022 4.5366
41 H -0.5147 3.0537 3.3751
42 H -1.7363 1.7531 2.9567
43 H 2.8645 2.5277 -0.0515
44 H 3.0433 2.2662 -1.9086
45 H 3.7934 -0.2454 -1.0789
46 H 5.0282 1.0356 -1.3491
47 H 6.0147 1.0287 1.9917
48 H 4.6170 4.1428 1.0306
49 H 3.2233 5.6589 2.6508
50 H 2.4735 4.7354 4.9935
51 H 3.0099 2.2804 5.7081
52 H 4.3382 0.7749 4.0429
53 H 2.0555 0.1778 -2.9327
54 H -0.0899 -3.0922 -3.3108
55 H -1.0894 -1.2432 -4.3708
56 C -7.0641 -2.0663 -2.4073
57 C -5.6989 -2.0900 -2.3085
58 C -4.9787 -1.4552 -3.5030
59 O -3.7413 -1.3242 -3.5441
60 C -5.7634 -0.9973 -4.6244
61 C -7.1411 -0.9813 -4.7397
62 C -7.8728 -1.5206 -3.4977
63 O -9.0964 -1.5214 -3.3745
64 O -7.8226 -0.5859 -5.7080
65 O -4.9905 -2.5596 -1.3654
66 H -7.6578 -2.4856 -1.6010
67 H -5.1624 -0.6270 -5.4495

Force components x, y, z for each atom (eV/Å):
C 0.1 0.2 0.8
C 0.4 -0.5 -0.1
C 0.5 1.2 0.2
C 1.8 -0.1 0.1
C -1.3 0.6 1.7
C 3.0 1.1 -2.1
C -0.8 -1.7 -2.2
C 0.7 -0.8 -0.3
N -0.4 1.0 -0.5
C -0.8 -0.3 0.7
C -1.6 -0.8 -0.8
C -0.1 -1.5 0.3
C -0.3 -0.5 0.3
C -0.3 -0.7 0.5
O 0.3 0.8 -1.4
N -0.5 0.0 0.3
C -1.1 1.8 1.2
C -0.9 -1.7 2.8
C 0.6 -2.1 0.2
C 1.0 -1.3 -1.2
C 0.9 1.5 -3.4
C -0.5 2.2 0.0
C 0.0 1.5 3.0
N 0.0 0.8 2.0
P 1.3 -0.4 -3.2
O -1.2 0.1 1.9
H -0.4 0.9 -0.9
H -0.4 -1.0 -0.7
H -0.6 -0.2 0.9
H 0.1 1.2 -0.6
H 0.1 -1.0 -0.7
H -1.2 -0.5 0.6
H 0.7 0.8 0.1
H 0.6 -0.3 -1.3
H 0.0 0.4 1.1
H 0.5 -0.2 -1.3
H -1.2 0.1 -0.3
H 0.4 -0.9 -0.1
H 0.1 0.4 0.0
H 0.1 0.3 -1.2
H 0.0 -1.2 -0.1
H 1.0 0.4 0.4
H 0.1 -0.5 -1.2
H -0.4 -0.2 1.1
H 0.4 1.1 0.5
H -0.7 0.1 1.0
H -0.4 0.3 -0.2
H -0.5 -0.3 1.3
H 0.2 -1.2 0.7
H 0.6 -0.7 -0.8